Beginning a new year with a return to the conjugate/Westside type lifting program. My goals for this year are to be on top of the Masters Raw 220 lbs weight class listings in America in powerlifting and to make the top 10 Raw 220 lbs list for all lifters in America in powerlifting and the rankings on Powerlifting Watch.
My current stats are: 218 lbs bodyweight at 5ft 8in tall. I have recently maxed with a 615 squat and a 285 lbs bench. My bench number is very low due to my recovering from a right biceps tear about a year and 8 months ago but I am making great strides in getting my bench back to
385 lbs and beyond.
I intend to keep my deadlift equal or greater than my squat. My last best deadlift was 550 lbs this past July at the UPF Challenge in Orlando, Florida.
I expect and will demand of myself great increases on a steady pace and hopefully will compete in the next 5 months in my next powerlifting contest.
First night of this wave of training began last night(New Year’s Eve):
(Next to the page, the page also holds molecular data)
- - -
(1)
Density functional theory data (ωB97M-V with the def2-TZVPD basis set) for C24H45N3O10P2RuS as an isolated structure.

Summary:
Energy above the lowest of the compared OMol25 structures with the same formula, charge and spin, eV: 0.7901
Expectation value of S²: 8.757
Energy, eV: -82560.313
Kohn-Sham gap (spin up / spin down), eV: 8.9 / 7.4

The geometry in ORCA input format:
```
! RIJCOSX wB97M-V def2-TZVPD def2/J DEFGRID3
* xyz 1 6
Ru 1.13688 1.17803 0.50351
N 2.56661 1.11268 2.38819
C 2.04670 1.97070 3.45822
C 1.19512 3.10441 2.88463
O 0.85704 4.02839 3.59011
O 0.89045 2.97519 1.62104
H 2.67516 0.14667 2.67041
H 3.46880 1.42665 2.05545
H 2.83224 2.40438 4.07192
H 1.40928 1.37949 4.11221
C -2.75465 -2.35691 4.41903
C -1.48684 -1.61639 4.78142
C -1.70260 -0.14775 5.07109
O -0.46315 -1.81823 3.73385
P -0.30647 -1.13775 2.33381
O -0.40697 0.34067 2.23515
C -1.43505 -1.91888 1.15822
P -1.37875 -0.95309 -0.37370
O 0.00733 -0.44788 -0.59957
O -1.86397 -1.89193 -1.52774
C -0.97379 -2.31639 -2.63156
C -1.46793 -3.67089 -3.07729
C -1.02044 -1.25817 -3.71191
O -2.37982 0.22052 -0.25596
C -3.79870 0.38031 0.06325
C -4.62081 -0.80349 -0.40014
C -3.92952 0.68464 1.54025
O 1.14248 -1.55672 1.89457
C 1.69116 -2.91429 1.85134
C 1.95737 -3.24006 0.39651
C 2.94337 -2.90902 2.69682
H -3.40526 -2.39669 5.29343
H -2.54114 -3.38026 4.10930
H -3.30968 -1.84446 3.62973
H -1.01539 -2.09729 5.63389
H -2.18006 0.36544 4.23508
H -0.76290 0.35674 5.29354
H -2.35225 -0.05815 5.94355
H -2.45253 -1.96468 1.54733
H -1.10753 -2.94245 0.96100
H 0.03329 -2.38425 -2.21798
H -2.48191 -3.59766 -3.47343
H -1.46261 -4.38387 -2.25204
H -0.81900 -4.05377 -3.86648
H -2.03760 -1.16013 -4.09801
H -0.36600 -1.54171 -4.53827
H -0.68566 -0.29277 -3.32790
H -4.06688 1.26286 -0.51261
H -4.35139 -1.71854 0.13443
H -4.50321 -0.97606 -1.46917
H -5.67311 -0.60279 -0.19557
H -3.80229 -0.21596 2.14695
H -4.92577 1.07815 1.74602
H -3.18814 1.42512 1.84070
H 0.95067 -3.58975 2.28259
H 2.60417 -2.47507 -0.03958
H 1.02976 -3.27843 -0.17965
H 2.44369 -4.21296 0.31746
H 3.68056 -2.22654 2.26617
H 3.38294 -3.90664 2.72459
H 2.71835 -2.60742 3.72102
N 0.67500 4.72476 -0.45267
C 0.48752 3.87417 -1.44859
S -0.39159 2.42581 -1.19906
N 0.96362 4.19427 -2.66099
C 0.94871 3.34162 -3.80945
C 2.15801 2.90039 -4.32631
C 2.16841 2.09601 -5.45653
C 0.97305 1.72690 -6.05702
C -0.23182 2.17385 -5.53297
C -0.24977 2.99158 -4.41326
H 0.47233 4.38533 0.48704
H 1.25954 5.53740 -0.56161
H 1.57916 4.98955 -2.71550
H 3.08316 3.17844 -3.83319
H 3.11204 1.75851 -5.86734
H 0.98025 1.10021 -6.94025
H -1.16510 1.89873 -6.00908
H -1.18426 3.35894 -4.00792
C 4.56243 0.83504 -1.78990
C 3.37913 1.01056 -0.89226
O 2.93304 0.02485 -0.22426
O 2.79389 2.12643 -0.80512
H 5.18236 0.00671 -1.45707
H 5.13845 1.75645 -1.84450
H 4.18875 0.60856 -2.79141
*
```



(2)
Density functional theory data (ωB97M-V with the def2-TZVPD basis set) for C24H45NP2PbSi as an isolated structure.

Summary:
- - -
T-Handle Swings:
100 lbs x 50 reps(Non-stop)
ME-(Anderson) Dead-stop Squats starting from pin 1 inch above parallel:
135 lbs x 10
225 x 3
315 x 3
405 x 1
495 x 1
585 x 1
ME-Good Mornings(Close Stance):
135 x 10
225 x 3
315 x 3
365 x 3
DE-Deadlifts (from pins right below knee)-1 min btwn sets:
135 x 3
225 x 3
315 x 3
365 x 8sets x 3reps
Hanging Leg Raises:
4 x 10
Max Effort work went well and I think I may have room to add 5 to 10 pounds on these lifts next week. Dynamic Effort deadlifts were fast and explosive. Overall, good lifting but I will be looking for improvements the next two weeks of this wave. Happy New Year!
Tonight’s lifting went well. I’m exited again about progressively adding to my total amount lifted and switching associated lifts to target the squat, bench, and deadlifts.
T-Handle Swings:
100 lbs x 50 reps
ME-Close-grip FatGripz Incline Bench:
45 lbs x 25
135 x 10
185 x 3
205 x 3
225 x 3
240 x 3
ME-Close-grip FatGripz Pin Press(4 inches over chest):
225 x 3
275 x 1
285 x 1
Tricep Press-downs Superset with light hammer curls:
90lbs x 5sets x 12reps(triceps); 35lbs dumbells x 5sets x 15 reps(hammer curls)
Bentover Rows:
135 x 6
225 x 6
275 x 4
Shoulder Superset:
20lbs Dumbells x 12 OHP x 12 Front Raises x 12 Lateral Raises
Standing Crunches:
70 lbs x 25
The Max Effort work felt good and I have room to improve with these lifts over the next 2 weeks of this wave. The light accessory work was fast and intense which capped off a great night.
Strong work. Why do you think your biceps injury has affected your bench more than your DL? I suffered a biceps tendon rupture 11 years ago, and it still keeps me from DLing significant weight. On the other hand, my bench pre-injury was just as mediocre as it is post.
Also, if you don’t mind, what’s the difference between Max Effort and Dynamic Effort lifting? (I don’t know nuthin’ about no PLing.)
[quote]EyeDentist wrote:
what’s the difference between Max Effort and Dynamic Effort lifting? (I don’t know nuthin’ about no PLing.)[/quote]
max effort lifting rep range is usually 3 to 5 so around 90-95% of your max. its used to increase your limit strength (the total amount of force you can apply).
dynamic effort is usually also 3 reps or so per set but this time you might only be using 50% of your max. the emphasis is on moving the bar as fast as possible. this develops your rate of force development, or how fast you can apply force to the bar.
ideal strength athlete should train both to maximize strength. this is the basis of the westside powerlifting method.
Lifting tonight wasn’t so great but I did enough to feel adequate.
T-Handle Swings:
100 lbs x 50 reps
135 x 10
225 x 5
315 x 3
365 lbs x 8sets x 3reps(1 min btn sets
Hanging Leg Raises:
3 x 15
About 30 minutes lift time. On a bright note, my wife did her 4D sonograph today and our little girl, due in 2 months, looks precious. I think going to the gyno with my wife today and seeing our girl to be knocked the energy out of me.
@EyeDentist: My biceps tear and subsequent surgery caused me a great amount of atrophy and loss of strength in the entire right half of my upper body. I used my right arm as much as possible to recover and the strengthening has been gradual however due to my pressing movement being highly restricted for a many months I lost so much on my bench. I was able to pull some light weight fairly quickly after my surgery and using the right arm as much as possible helped return my deadlifts more quickly than my bench has returned.
@Oldman Powers-Thanks, there’s going to be 3 females in the house so major estrogen advantage to them. I hope I have enough testosterone to handle a 3 year old girl, a baby girl, and my wife. It’s all fun and sleepless nights and love and then I go smash iron and listen to sweet, sweet hard ,loud rock while I lift.
@sen say-Thanks, I attempt to keep a positive outlook for every day that is realistic and rational.
The best laid plans of mice and men oft go astray. Monday’s lifting was waylaid by my 2 year old so I delayed that workout for tonight. The lifting was intense.
T-Handle Swings;
100 lbs x 50 reps(Have to say this is the most effective warm-up I’ve tried for legs, back, shoulders and core.)
ME Front Squats with Zercher/Front Squat Harness(22lbs):
135 x 10
225 x 5
315 x 3
405 x 1
455 lbs x 1 (Actual weight 477 lbs)
15 Second Pause Squats ATG:
245 lbs x 3 sets x 5 reps (Extremely Brutal)
Close Stance Good Mornings:
225 x 3 sets x 6 reps
DE Pin Deadlifts (Just below knee):
135 x 3
225 x 3
315 x 3
370 x 8 sets x 3 reps (45 seconds btwn sets)
@giterdone-Look up how to make a T-Handle on youtube. Thats how I did it. I went to Lowe’s and bought the plumbers pipe, flange, and T-fitting for around $20 and put it together very fast. IF you can fit and screw 2 pipes together you can make it. It’s so easy. I find it hard to believe that one of the best pieces of equipment I own cost me about $20 and 3 minutes of assembly but there it is.
@sen say-Yes, I was pausing all the way in the bucket on the squats for 15 seconds. I think I may only go about 10 seconds next time because I don’t know if staying down there that much longer is doing any good.
ME Dead Stop Pin Presses starting from my chest:
45 lbs x 25
135 x 10
185 x 3
225 x 1
245 x 1
255 x 1
ME Close Grip Incline Bench Press:
135 x 5
185 x 3
225 x 1
245 x 1
255 x 1
Triceps Push Downs Superset with 35 lbs Dumbell Hammer Curls:
90 lbs x 5 sets x 12 reps; 5 sets x 15 reps
Bent-over Rows:
225 x 3sets x 6reps
Standing Crunches:
70 lbs x 25
Benching felt great all around and I think I will be able to push the poundage up next week. Everything was working well and lifting lasted about an hour.
Got started really late because had to take care of family issues. Lifting was inspired and intense.
T-Handle Swings:
100 lbs x 50
DE Squats (One set every minute):
135 x 10
225 x 5
315 x 3
375 x 8sets x 3reps
ME 2 1/2 Inch Deficit Stiff-legged Deadlifts:
135 x 5
225 x 3
315 x 1
405 x 1 (w/straps)
500 x 1 (w/straps)
550 x 1 (w/straps)
Standing Crunches:
70 lbs x 25
The squats were flying fast and the deads felt really good. I feel I have a bit more in me for the stiff-leg deads so the next couple of weeks there will be increases in poundage.